My horse hero is my cob Jack. He is a 14hh gelding, rising 27-year-old piebald cob, and he has been in my life for nearly 26 years.
I got Jack as a 1.5 year old, well my father purchased him in a horse mart in Co. Wicklow. My father didn’t tell me that he had purchased him until we followed Jack out of the ring after he sold “to have a better look at him”. When we got to his pen, my father asked me “What do you think of him?”. I replied not knowing what was coming next, “he’s probably the most beautiful horse I’ve ever seen”. To which my father replied “Well, he’s yours now”. I didn’t believe him because I was so shocked, not until he went in a paid for him and came back out with the receipt and was chatting to the guy he bought him from about transporting him to our home. Back then Jack cost £180 and for the rest of our lives he became priceless.

**Someone pasted quantum chemistry results at this point:**
Entry A
# C7H17N

One molecule with the formula C7H17N (ωB97M-V/def2-TZVPD, the Open Molecules 2025 dataset).

Values from the calculation:
SMILES string: CCCN(C)C(C)C
Orbital gap (eV): 9.458
LUMO level (eV): 1.048

Last column: natural (NBO) charge in e.
Positions of all 25 atoms, in Å:
C  -0.077  1.762  0.684  -0.395
C  -0.142  2.538  2.056  -0.614
C  0.294  0.277  0.821  -0.246
N  0.836  -0.250  -0.418  -0.440
C  1.985  -1.128  0.049  -0.421
C  -0.789  -2.283  -0.790  -0.647
C  -0.203  -0.912  -1.324  -0.047
C  -1.262  0.014  -1.737  -0.631
H  -0.966  2.000  0.044  0.196
H  0.791  2.277  0.067  0.200
H  -0.987  3.240  1.972  0.211
H  -0.403  1.833  2.783  0.194
H  0.777  2.900  2.392  0.207
H  1.199  0.222  1.540  0.191
H  -0.533  -0.201  1.356  0.178
H  1.537  -2.034  0.456  0.184
H  2.595  -0.449  0.708  0.205
H  2.693  -1.396  -0.756  0.196
H  -0.115  -3.085  -0.636  0.217
H  -1.279  -2.865  -1.664  0.211
H  -1.582  -2.146  -0.103  0.205
H  0.411  -1.325  -2.107  0.194
H  -1.565  -0.096  -2.715  0.222
H  -1.110  1.139  -1.598  0.227
H  -2.107  -0.035  -1.079  0.204

---

Entry B
# C7H17N

A 2-piece molecular cluster, C7H17N overall (ωB97M-V/def2-TZVPD, the Open Molecules 2025 dataset).

Values from the calculation:
SMILES string: CC(C)C.C=CNC
Orbital gap (eV): 9.073
LUMO level (eV): 0.937

Last column: natural (NBO) charge in e.
Positions of all 25 atoms, in Å:
C  1.307  0.006  0.159  -0.231
C  1.257  -0.893  1.387  -0.605
C  1.852  -0.732  -1.054  -0.603
C  2.077  1.287  0.432  -0.607
H  0.186  0.230  -0.085  0.224
H  2.263  -1.207  1.666  0.199
H  0.650  -1.774  1.184  0.203
H  0.804  -0.365  2.225  0.200
H  2.877  -1.052  -0.865  0.196
H  3.112  1.054  0.686  0.200
H  1.249  -1.611  -1.274  0.203
H  1.869  -0.087  -1.931  0.206
H  1.636  1.834  1.262  0.204
H  2.070  1.934  -0.444  0.209
C  -2.494  -1.208  -0.708  -0.412
N  -2.140  -0.468  0.472  -0.639
C  -1.631  0.944  0.342  -0.011
C  -1.832  1.718  -0.723  -0.516
H  -2.022  -0.921  1.367  0.392
H  -1.516  1.390  1.322  0.201
H  -1.621  -1.411  -1.343  0.177
H  -2.948  -2.160  -0.430  0.209
H  -3.192  -0.618  -1.314  0.193
H  -2.006  1.323  -1.710  0.198
H  -1.807  2.789  -0.624  0.212

---

On energetic grounds, entry B is preferred over the next structure by 87.5 kJ/mol.

---

Entry A
# C23H30N6O

One molecule with the formula C23H30N6O (ωB97M-V/def2-TZVPD, the Open Molecules 2025 dataset).

Values from the calculation:
SMILES string: CC(C)n1cc(CN2CCC(n3nccc3NC(=O)Cc3ccccc3)CC2)cn1
Orbital gap (eV): 8.783
LUMO level (eV): 0.587

Last column: natural (NBO) charge in e.
Positions of all 60 atoms, in Å:
C  -1.392  -6.510  -0.168  -0.610
H  -0.523  -6.423  0.480  0.221
H  -1.815  -7.504  -0.053  0.213
H  -2.133  -5.779  0.146  0.204
C  -0.991  -6.277  -1.624  -0.039
N  -0.331  -5.000  -1.766  -0.159
C  -0.833  -3.773  -1.533  -0.048
C  0.173  -2.865  -1.795  -0.146
C  1.258  -3.666  -2.184  -0.054
N  0.934  -4.945  -2.164  -0.271
H  2.243  -3.360  -2.476  0.206
**Back to the text:**
I have so many great memories with Jack. It is quite difficult to choose just one but I think for me it was the first time we went to a training day on a cross country course when we were based in Tralee Co. Kerry. With Jack being 14hh I was aiming for the smaller jumps. Jack however had a different plan in mind, when the horse’s we were with jumped the biggest jumps Jack was indicating that he wanted to follow on. I jumped a couple of the smaller ones but then I said we’d try a couple of the bigger ones and boy did he enjoy that. He was full of energy and excitement while still being so careful. In that moment I felt like he could’ve been 17hh and unreachable. I don’t think I stopped smiling the whole time on that course.
What sets them apart from any others?
The things that set Jack apart from others for me is the life long bond we have. I find it difficult to describe it really because it is a soul deep sort of feeling. When I used to ride Jack, it was always just for fun and always so that we could learn rather than competition. There were so many moments that I would just think about moving into canter and Jack would move into canter without any aids, or the same would be for halting. I could just talk to him or think of an intention and he would have it done before I could offer the physical aids. Another thing with him was he always tried to look after his rider and he could tell the difference between me riding him or if one of my young nieces or nephews were on board. For me he would have higher energy thinking that we were going to do something fun etc. but when a beginner was on board, he turned into a relaxed version of himself and waited with great patients to be asked what was required of him. Another specialty Jack has is training younger horses and setting strong boundaries with them so they learn how to be when humans (me mostly) are around. I have a rising 3 year old cob that has been with Jack for the last couple of years and he now also has this wonderful temperament and I believe a huge amount of that has been from Jack and his calm interactions with me.

What was your favourite discipline together?
My favourite discipline was carriage driving. We were part of a carriage club for a number of years and going for drives with a Jack and a trap were some of the best moments. In general the trust the horse puts in the driver to allow a harness to go on their body with winkers leaving them to only see whatever is directly in front of them and then attach a wooden trap behind them, is huge. I appreciate and respect Jack so much for these memories.
Proudest moment as a team
I’m so proud of everything about Jack but one of the proudest moments was him placing in a tough showing class in the National riding club championships a few years back. He was the only cob that was natural (unclipped with long mane and tail) in the class so I didn’t think he’d even get a look in but he got a ribbon and I was super proud of him. He is very handsome though.
Three words to describe your horse:
What do others say about her/him?
They mostly comment on his beauty and how quiet he is. Most of my friends are non horse people, but even they comment on his calming nature when they are around him.
What makes them special to you?
Jack has been with me through some of the most difficult moments in my life. We have basically grown up together. Being that I was 13 years old when I got him (I’m giving away my age now). We have travelled to different parts of Ireland together. He came with me where ever I moved but thankfully for both of us we are very settled in the last few years where we are and he has his own little herd to keep him busy.
What did you learn most from them?
I learn so much from Jack and now my younger cob too. Mainly it is patience, breathe through everything and you can get through it and that silence is so loud when I am with him. There is no need for words at all when I am with him and this brings me so much peace.
When did you first know they were your horse of a lifetime?
The moment in that mart when my dad told me that he was mine.

(Misplaced calculated molecules)
____________
Entry 1:
{"formula": "C20H31BrN3O3", "method": "ωB97M-V/def2-TZVPD", "elements": ["C", "C", "H", "H", "O", "C", "O", "C", "C", "N", "C", "C", "C", "C", "C", "C", "H", "O", "C", "H", "H", "H", "Br", "H", "C", "H", "H", "H", "C", "N", "H", "C", "H", "H", "C", "N", "H", "C", "C", "H", "H", "H", "H", "H", "C", "C", "H", "H", "H", "H", "H", "H", "H", "H", "H", "H", "H", "H"], "coordinates": [[-0.944, 4.477, 0.203], [-0.077, 3.233, 0.204], [0.580, 3.213, 1.082], [0.544, 3.182, -0.698], [-0.933, 2.091, 0.244], [-0.372, 0.890, 0.227], [0.858, 0.756, 0.172], [-1.320, -0.190, 0.266], [-1.019, -1.546, 0.414], [-2.152, -2.275, 0.368], [-3.226, -1.428, 0.222], [-4.584, -1.715, 0.145], [-5.442, -0.651, -0.005], [-4.993, 0.687, -0.080], [-3.638, 0.960, 0.000], [-2.749, -0.102, 0.155], [-3.265, 1.968, -0.048], [-5.967, 1.607, -0.225], [-5.621, 2.969, -0.303], [-6.562, 3.504, -0.411], [-5.114, 3.303, 0.607], [-4.987, 3.169, -1.172], [-7.309, -0.950, -0.118], [-4.971, -2.718, 0.206], [-2.241, -3.708, 0.445], [-1.350, -4.157, 0.009], [-3.110, -4.043, -0.117], [-2.347, -4.039, 1.481], [0.328, -2.156, 0.594], [0.844, -2.593, -0.701], [0.506, -1.997, -1.448], [2.261, -2.826, -0.807], [2.411, -3.604, -1.565], [2.618, -3.230, 0.141], [3.115, -1.631, -1.276], [3.183, -0.467, -0.359], [2.201, -0.131, -0.160], [3.792, -0.782, 0.961], [5.267, -1.146, 0.913], [5.881, -0.327, 0.552], [5.593, -1.377, 1.924], [5.451, -2.025, 0.302], [3.645, 0.089, 1.601], [3.231, -1.609, 1.398], [3.845, 0.675, -1.049], [3.852, 1.942, -0.210], [4.133, 2.781, -0.841], [2.859, 2.131, 0.187], [4.565, 1.893, 0.608], [4.859, 0.381, -1.324], [3.284, 0.863, -1.966], [4.131, -1.977, -1.473], [2.693, -1.275, -2.220], [0.960, -1.408, 1.092], [0.269, -3.034, 1.247], [-1.567, 4.500, 1.093], [-1.585, 4.490, -0.675], [-0.314, 5.361, 0.191]], "nbo_charge": [-0.625, -0.069, 0.188, 0.184, -0.488, 0.836, -0.741, -0.311, 0.326, -0.322, 0.098, -0.235, -0.141, 0.360, -0.335, 0.035, 0.239, -0.494, -0.254, 0.213, 0.178, 0.176, 0.098, 0.237, -0.417, 0.229, 0.228, 0.215, -0.278, -0.629, 0.369, -0.235, 0.227, 0.203, -0.238, -0.415, 0.508, -0.226, -0.639, 0.221, 0.250, 0.218, 0.233, 0.222, -0.215, -0.643, 0.244, 0.240, 0.216, 0.220, 0.224, 0.225, 0.221, 0.193, 0.210, 0.221, 0.218, 0.228], "homo_energy_ev": -10.3, "charge": 1, "smiles": "CCOC(=O)c1c(CNCC[NH+](CC)CC)n(C)c2cc(Br)c(OC)cc12"}

=====

Entry 2:
{"formula": "Cl4H2Si2", "method": "ωB97M-V/def2-TZVPD", "elements": ["Si", "Si", "Cl", "Cl", "Cl", "Cl", "H", "H"], "coordinates": [[-0.926, -2.853, 1.963], [2.379, 1.040, -0.313], [1.450, -0.730, -0.098], [-1.614, -1.494, 0.635], [4.083, 1.049, -1.453], [1.208, 2.447, -1.105], [0.124, -2.017, 2.560], [2.707, 1.538, 1.124]], "nbo_charge": [0.743, 1.179, -0.337, -0.436, -0.347, -0.341, -0.305, -0.156], "homo_energy_ev": -8.9}

=====

Entry 3:
____________
What makes your connection special?
I find this hard to describe in words. I think the connection we have is more of a feeling. a really deep in your soul kind of feeling. All I can say is I feel very much at peace when I am around him. Things in my life feel easier when I am in his presence.
Favourite thing to do with your horse?
-- Unrelated to this page: data records --
'''
{"formula": "C19H19ClF6N4O3PRuS2", "method": "ωB97M-V/def2-TZVPD", "elements": ["Ru", "C", "C", "C", "O", "C", "O", "O", "H", "H", "H", "H", "H", "H", "H", "S", "C", "S", "C", "C", "N", "C", "N", "Cl", "C", "C", "C", "C", "C", "C", "C", "H", "H", "H", "H", "H", "H", "C", "N", "C", "C", "N", "C", "H", "H", "H", "H", "H", "H", "F", "P", "F", "F", "F", "F", "F"], "positions_angstrom": [[-0.014, 1.191, 0.504], [-1.258, 3.557, -2.873], [-1.321, 2.460, -1.827], [-2.764, 2.159, -1.435], [-0.560, 2.864, -0.661], [-0.626, 1.165, -2.301], [-0.698, 0.812, -3.465], [-0.011, 0.492, -1.382], [-1.919, 4.382, -2.604], [-1.554, 3.152, -3.839], [-0.240, 3.936, -2.956], [-3.273, 3.078, -1.138], [-2.819, 1.457, -0.605], [-3.285, 1.735, -2.294], [-1.053, 3.497, -0.110], [3.333, -1.046, 0.086], [2.815, -0.333, 1.596], [1.157, -0.085, 2.017], [3.814, -0.020, 2.490], [3.551, 0.602, 3.745], [3.382, 1.065, 4.786], [5.177, -0.341, 2.223], [6.275, -0.598, 1.986], [2.064, -4.798, 0.283], [2.381, -4.186, -1.318], [2.771, -5.095, -2.290], [3.048, -4.648, -3.571], [2.929, -3.298, -3.871], [2.531, -2.408, -2.889], [2.250, -2.828, -1.590], [1.826, -1.816, -0.566], [2.858, -6.141, -2.032], [3.354, -5.355, -4.330], [3.136, -2.941, -4.871], [2.415, -1.357, -3.122], [1.303, -2.273, 0.271], [1.174, -1.077, -1.025], [-4.001, -1.552, 2.960], [-3.079, -1.184, 1.906], [-2.927, -1.795, 0.689], [-1.920, -1.144, 0.046], [-1.459, -0.138, 0.867], [-2.174, -0.189, 1.977], [-4.852, -2.066, 2.519], [-4.354, -0.653, 3.461], [-3.519, -2.207, 3.686], [-3.536, -2.632, 0.397], [-1.487, -1.307, -0.923], [-2.052, 0.470, 2.822], [0.376, 3.514, 1.832], [-0.967, 3.939, 2.692], [-2.318, 4.334, 3.460], [-1.815, 2.839, 1.791], [-1.290, 5.035, 1.530], [-0.657, 2.771, 3.751], [-0.119, 5.002, 3.516]], "e_above_lowest_kcal_mol": 12.0, "orbital_gap_ha": 0.2637, "total_charge": -1, "energy_ev": -94492.0206}

=====

<A>
{
  "formula": "C4H9OS",
  "method": "ωB97M-V with the def2-TZVPD basis set",
  "elements": ["H", "O", "H", "H", "H", "H", "H", "S", "C", "H", "H", "C", "C", "C", "H"],
  "coordinates": [[-2.97, -1.30, 0.35], [-1.53, 0.05, 0.13], [1.07, 0.21, 2.35], [2.86, 0.02, -1.92], [-3.26, 0.51, 0.80], [-3.53, 0.04, -0.95], [0.53, 0.73, -1.52], [0.11, -0.81, 0.36], [2.25, -0.50, -1.27], [0.54, 1.51, 1.01], [2.76, -1.16, -0.62], [1.06, 0.52, 1.29], [-3.01, -0.22, 0.06], [1.01, -0.11, -1.10], [2.10, 0.50, 1.02]],
  "nbo_charge": [0.22, -0.69, 0.26, 0.24, 0.22, 0.23, 0.26, 1.08, -0.33, 0.29, 0.22, -0.72, -0.21, -0.33, 0.26],
  "e_homo_ev": -15.121,
  "orbital_gap_ev": 9.4,
  "multiplicity": 1,
  "lumo_ev": -5.7,
  "total_charge": 1,
  "mol_weight_g_mol": 105.2
}

***

<B>
{
  "formula": "C4H9OS",
  "method": "ωB97M-V with the def2-TZVPD basis set",
  "elements": ["H", "H", "S", "C", "H", "H", "O", "C", "C", "H", "H", "H", "H", "H", "C"],
'''
My favourite thing to do with Jack now is to groom him and spend time with him. He is retired now so we mostly just hang around each other now. I love to watch his interactions with the younger cob too. Their presence is so powerful.